Nursing theories
open access articles on nursing theories and models
Maslow's Theory of Needs
- Proposed by Abraham Maslow in his 1943 paper A Theory of Human Motivation.
- Maslow’s Hierarchy of Needs is a motivational theory that argues that while people aim to meet basic needs, they seek to meet successively higher needs in the form of a hierarchy.
- Maslow's theoryhas been applied in nursing to guide the prioritization of patient care needs
- It is often represented as a pyramid with five levels of needs.
Maslow’s hierarchy of needs
Maslow’s hierarchy of needs is a based on the theory that one level of needs must be met before moving on to the next step.
- Self-actualization – e.g. morality, creativity, problem solving.
- Esteem – e.g. confidence, self-esteem, achievement, respect.
- Belongingness – e.g. love, friendship, intimacy, family.
- Safety – e.g. security of environment, employment, resources, health, property.
- Physiological – e.g. air, food, water, sex, sleep, other factors towards homeostasis.
- Maslow’s theory maintains that a person does not feel a
higher need until the needs of the current level have been
B and D Needs
Deficiency or deprivation needs
The first four levels are considered deficiency or deprivation needs (“D-needs”) in that their lack of satisfaction causes a deficiency that motivates people to meet these needs
Growth Needs or B-Needs or Being Needs
The needs Maslow believed to be higher, healthier, and more likely to emerge in self-actualizing people were being needs, or B-needs.
Growth needs are the highest level, which is self-actualization, or the self-fulfillment.
Maslow suggested that only two percent of the people in the world achieve self actualization. E.g. Abraham Lincoln, Thomas Jefferson, Albert Einstein, Eleanor Roosevelt.
+++
Record 1
A structure of composition C54H114BeF2N6O6. Source: OMol25; level of theory: the ωB97M-V functional and the def2-TZVPD basis.

Each line ends with the Mulliken charge.
Atoms and positions in Å:
Be (0.0629, -0.7782, 0.5608)  0.42
F (1.8042, -1.1848, -0.9687)  -0.13
F (-1.3786, 0.9521, 1.5232)  -0.25
C (-0.8554, 0.7446, -6.6270)  -1.85
C (-1.1545, 1.2067, -5.1690)  1.45
C (-0.8441, 2.7195, -5.2657)  -1.27
C (-1.5128, 3.4384, -4.1564)  0.18
C (-3.0750, 3.1670, -4.3575)  -1.60
C (-3.5030, 1.6350, -4.2649)  1.88
N (-2.5234, 0.7457, -4.9509)  -0.30
O (-2.5534, -0.6706, -4.6655)  -0.01
C (-3.4509, 1.2461, -2.7590)  -1.84
C (-4.9152, 1.4764, -4.7945)  -1.61
C (-0.0838, 0.5711, -4.1708)  -1.61
H (-1.6522, 1.3140, -7.1056)  0.57
H (-1.1885, -0.2498, -6.9244)  0.28
H (0.1530, 0.9356, -6.9939)  0.36
H (0.2379, 2.8231, -5.1836)  0.55
H (-1.2143, 3.1135, -6.2122)  0.26
H (-1.2447, 4.4942, -4.1184)  0.43
H (-1.1684, 2.9087, -3.2682)  -0.28
H (-3.3706, 3.5532, -5.3330)  0.42
H (-3.6250, 3.8150, -3.6751)  0.53
H (-3.7961, 0.2424, -2.5112)  0.25
H (-2.4384, 1.3368, -2.3655)  0.20
H (-3.8191, 2.0268, -2.0933)  0.60
H (-5.1337, 0.4436, -5.0659)  0.34
H (-5.7346, 1.7277, -4.1211)  0.36
H (-4.9356, 2.2549, -5.5572)  0.36
H (-0.0902, -0.5189, -4.1673)  0.31
H (-0.3784, 0.7901, -3.1444)  -0.02
H (0.9502, 0.9067, -4.2502)  0.55
H (-3.1206, -0.9563, -5.3854)  0.32
C (1.4118, 5.0053, -1.0584)  -1.76
C (1.7206, 3.8323, -0.0693)  1.55
C (3.2752, 3.7759, 0.1818)  -0.83
C (3.9190, 4.9219, 1.0847)  -0.89
C (3.1061, 4.9874, 2.4803)  -1.41
C (1.5371, 4.9167, 2.2444)  1.23
N (1.0684, 3.9084, 1.2534)  1.25
O (-0.2850, 3.7483, 1.2698)  -0.42
C (1.0004, 4.4307, 3.6339)  -1.92
C (1.1280, 6.3487, 1.8535)  -1.62
C (1.2647, 2.4791, -0.7778)  -1.72
H (0.3624, 5.2389, -0.8788)  0.35
H (1.5999, 4.7477, -2.1008)  0.48
H (1.8765, 5.9434, -0.7550)  0.30
H (3.4841, 2.8318, 0.6849)  0.23
H (3.7234, 3.8477, -0.8092)  0.43
H (3.7987, 5.9463, 0.7321)  0.42
H (4.9193, 4.6544, 1.4252)  0.41
H (3.4458, 5.9108, 2.9494)  0.38
H (3.4548, 4.2706, 3.2237)  0.51
H (-0.0649, 4.6617, 3.6407)  0.51
H (1.0309, 3.3480, 3.7563)  0.15
H (1.3972, 4.9790, 4.4883)  0.50
H (1.9446, 6.7043, 1.2251)  0.40
H (0.2320, 6.6712, 1.3232)  0.21
H (1.2608, 6.8260, 2.8245)  0.46
H (1.9369, 1.6860, -0.4504)  0.17
H (1.2529, 2.4487, -1.8673)  0.29
H (0.2397, 2.2940, -0.4565)  0.24
H (-0.4451, 2.8077, 1.3755)  0.04
C (-5.9478, 0.5840, 1.7356)  -1.99
C (-5.2787, 1.7593, 2.3254)  2.56
C (-6.4755, 2.5641, 2.8747)  -1.66
C (-6.0630, 3.8831, 3.5894)  -0.74
C (-5.2225, 3.5555, 4.8482)  -0.96
C (-4.0575, 2.4116, 4.4822)  1.76
N (-4.4834, 1.3313, 3.4737)  0.04
O (-3.4935, 0.2860, 3.2837)  -0.25
C (-2.6924, 3.1483, 4.1612)  -1.41
C (-3.8371, 1.7353, 5.8942)  -2.08
C (-4.5530, 2.5470, 1.2687)  -1.57
H (-6.7644, 0.1937, 2.3431)  0.44
H (-5.2981, -0.2127, 1.3734)  -0.05
H (-6.5096, 0.9181, 0.8634)  0.49
H (-7.1384, 2.8566, 2.0603)  0.59
H (-7.2123, 2.0835, 3.5184)  0.41
H (-6.9050, 4.5143, 3.8734)  0.48
+++
Self actualized people were reality and problem centered.
They enjoyed being by themselves, and having deeper relationships with a few people instead of more shallow relations with many people.
They tended to be spontaneous and simple.
Application in Nursing
- Maslow's hierarchy of needs is a useful organizational framework that can be applied to the various nursing models for assessment of a patient’s strengths, limitations, and need for nursing interventions. (Smeltzer SC, Bare BG, 2004)
- Health Care Delivery and Nursing Practice. In Brunner & Suddarth’s Textbook of Medical-Surgical Nursing, (Edtrs. Smeltzer SC, Bare BG.) 10th Edition. Lippincott Williams and Wilkins. Philadelphia. 2003.
- Psychiatry, Third Edition. Edited by Allan Tasman, Jerald Kay, Jeffrey A. Lieberman, Michael B. First and Mario Maj. John Wiley & Sons, Ltd, 2008.
- Maslow, A. H.. A Theory of Human Motivation. Psychological Review, 50, 1943. pp. 370.